Okay, I understand that this is NOT a complicated script, but I am still very excited about it. I know that there are many ways to skin a cat, this cat being an AppleScript, but I want to know if there are any coding standards or best practices that I could implement to improve my scripting as I learn. Does this script look okay, or am I making some basic NOOB mistakes? Is there a sharper knife out there to skin THIS cat?
I know you don’t need an explanation but the code works as follows:
Copies all of the files and folders from a specified drive (external keydrive, flash cards etc the focus) to a desktop folder
asks if you want to delete the files and eject disk
All blunt criticism welcome!
set path1 to ("SCANDISK")
set path2 to (path to desktop folder as text) & "transfer from external"
tell application "Finder"
if folder path2 exists then
--well, do nothing. Wish there were a "if folder path2 does not exist then" command.
tell application "Finder" to make new folder at desktop with properties {name:"transfer from external", comment:"files transfered from an external drive or card"}
--say "new folder on desktop created" using "Bells" --man, this takes too long. Have to wait for it to end?
end if
duplicate every file of disk path1 to folder path2 with replacing
duplicate every folder of disk path1 to folder path2 with replacing
end tell
--say "transfer complete"
tell application "SystemUIServer"
set button_pressed to button returned of (display dialog "Transfer Complete.
Files in folder \"transfer from external\" on you desktop" buttons {"Close", "Eject Drive", "Delete Files & Eject Drive"} default button 3 with icon note)
end tell
if the button_pressed is "Eject Drive" then
tell application "Finder" to eject path1
end if
if the button_pressed is "Delete Files & Eject Drive" then
tell application "Finder"
delete every file of disk path1
### Someone pasted crystal structures at this point
'''
# Cs8Au3O PBE optimized geometry
# - total DFT energy (no corrections) (eV/atom) = -2.218
# - volume (Å³/cell) = 756.0
# - energy relative to the elements, uncorrected (eV/atom) = -0.417
# - calculated density (g cm⁻³) = 3.67
data_Cs8Au3O
_chemical_formula_sum 'Cs8 Au3 O1'
_symmetry_space_group_name_H-M 'P 1'
_symmetry_Int_Tables_number 1
_symmetry_space_group_name_Hall 'P 1'
_cell_length_a 8.8466
_cell_length_b 8.8466
_cell_length_c 10.1784
_cell_angle_alpha 90.00
_cell_angle_beta 90.00
_cell_angle_gamma 108.38
loop_
_atom_site_label
_atom_site_type_symbol
_atom_site_fract_x
_atom_site_fract_y
_atom_site_fract_z
O1 O 0.5000 0.5000 0.5000
Cs1 Cs 0.2409 0.7591 0.0000
Cs2 Cs 0.7591 0.2409 0.0000
Cs3 Cs 0.7060 0.6999 0.2927
Cs4 Cs 0.6999 0.7060 0.7073
Cs5 Cs 0.7049 0.2951 0.5000
Cs6 Cs 0.2940 0.3001 0.2927
Cs7 Cs 0.3001 0.2940 0.7073
Cs8 Cs 0.2951 0.7049 0.5000
Au1 Au 0.5000 0.5000 0.0000
Au2 Au 0.0000 0.5000 0.2542
Au3 Au 0.5000 0.0000 0.7458


## Ac5MgSe8 (GGA-PBE)

Data for a relaxed structure of Ac5MgSe8.

Lattice parameters (Å, degrees): 8.0910 8.0910 8.0910 110.03 110.03 108.36
Last column: nearest neighbours and their distance in Å.
Fractional positions:
Ac  0.0000  0.0000  0.0000  8 Se 3.14-3.35
Ac  0.2525  0.1309  0.6128  7 Se 3.10-3.33
Ac  0.3603  0.7475  0.8784  7 Se 3.10-3.33
Ac  0.5181  0.6397  0.3872  7 Se 3.10-3.33
Ac  0.8691  0.4819  0.1216  7 Se 3.10-3.33
Mg  0.7500  0.2500  0.5000  4 Se 2.91
Se  0.0967  0.3531  0.8666  1 Mg 2.91, 2 Ac 3.12-3.18
Se  0.1453  0.3866  0.4037  5 Ac 3.10-3.29
Se  0.2584  0.8547  0.2412  5 Ac 3.10-3.29
Se  0.4864  0.2301  0.1334  1 Mg 2.91, 2 Ac 3.12-3.18
Se  0.6134  0.0171  0.7588  5 Ac 3.10-3.29
Se  0.6469  0.5136  0.7437  1 Mg 2.91, 2 Ac 3.12-3.18
Se  0.7699  0.9033  0.2563  1 Mg 2.91, 2 Ac 3.12-3.18
Se  0.9829  0.7416  0.5963  5 Ac 3.10-3.29

Values from the calculation:
* E_form (uncorrected): -1.848 eV per atom
* SG: I-4, No. 82
* total moment: 0.000 μB/atom
* electronic total energy: -5.420 eV/atom


This record from Alexandria via LeMat-Bulk describes NiRhI2N after structural relaxation. The functional is PBE.

```
NiRhI2N
1.0
5.5710 0.0000 0.0000
0.0000 5.5710 0.0000
0.0000 0.0000 3.6752
Ni Rh I N
1 1 2 1
direct
0.0000 0.0000 0.0000 Ni
0.5000 0.5000 0.5000 Rh
0.0000 0.5000 0.5000 I
0.5000 0.0000 0.5000 I
0.5000 0.5000 0.0000 N
```

Calculated values
- spin magnetization (Bohr magnetons per cell) = 1.12
- uncorrected formation energy (eV per formula unit) = 3.9


[1]
DFT (PBE) results for crystalline DyLuTa at its relaxed geometry.

Cell and atoms, written as CIF:
```
data_DyLuTa
_chemical_formula_sum 'Dy4 Lu4 Ta4'
_cell_length_a 7.015
_cell_length_b 7.015
_cell_length_c 7.015
_cell_angle_alpha 90.00
_cell_angle_beta 90.00
_cell_angle_gamma 90.00
_space_group_name_H-M_alt 'F -4 3 m'
_space_group_IT_number 216
_space_group_name_Hall 'F -4 2 3'
loop_
_atom_site_label
_atom_site_fract_x
_atom_site_fract_y
_atom_site_fract_z
Dy1 0.000 0.000 0.000
Lu1 0.250 0.250 0.250
Ta1 0.000 0.000 0.500
```
'''
delete every folder of disk path1
delay 0.4
delay 2.0 -- I don't trust this. If trash is full it may take more than 2 secs to empty, disk wont eject. Solution?
eject path1
end tell
end if
there is a way to check for non-existence >> if not exists (folder path2)…
You can use items instead of files/folders. >> duplicate every item of disk path1 to folder path2 with replacing
You can also nest your If/Thens…
if the button_pressed is “Eject Drive” then
tell application “Finder” to eject path1 else if the button_pressed is “Delete Files & Eject Drive” then
tell application “Finder”
It won’t speed things up but if you’ve already got your response to “Eject Drive” being true, there’s no sense in checking if button_pressed is anything else.
I like those suggestions. The not(exists) and “item” are a huge help. The compiler automatically added parenths. Man, I wish I could just use regualr notation like ==, != etc.
The if else statement is returning an error for me:
if the button_pressed is "Eject Drive" then
tell application "Finder" to eject path1
else if
the button_pressed is "Delete Files & Eject Drive" then
tell application "Finder"
delete every item of disk path1
delay 0.4
delay 2.0 -- I don't trust this. If trash is full it may take more than 2 secs to empty, disk wont eject. Solution?
eject path1
end tell
end if
returns this error: Expected expression but found end of line.
am I missing something? I have an “end if”
The if goes on the next line with the statement. There’s also 2 ifs so another end if goes at the end.
About the deleting files, you might try:
if the button_pressed is "Eject Drive" then
tell application "Finder" to eject path1
if the button_pressed is "Delete Files & Eject Drive" then
do shell script "/bin/rm -rf /Volumes/SCANDISK/*"
tell application "Finder"
eject path1
end tell
end if
end if
I’m pretty sure the next step won’t happen until that finishes.
the else…if should be one line.
else if the button_pressed is “Delete Files & Eject Drive” then…
gyuen’s suggestion with else on one line will work also but typically here’s how to think about this.
If/Else If…
check condition 1 of a requested operation >> validates false
else check condition 2 the the same requested operation >> validates false
else check condition 3, etc., etc.
if the ball is red then
throw the ball
else if the ball is blue then
kick the ball
else if the ball is green
keep the ball and run away.
end if
All these operations are talking only about the ball and what you want to do with it.
Where you would (typically) use gyuen’s way is if you are checking the conditions of more than one thing.
Misplaced calculated crystals =
____________
VASP calculation (PBEsol) on PPbS2N after structural relaxation.

Properties
Its crystal system is tetragonal. As for the total energy: -3.39 eV per atom. Its space group is No. 123.

CIF file:
```
data_PPbS2N
_chemical_formula_sum 'P1 Pb1 S2 N1'
_symmetry_space_group_name_H-M 'P 1'
_symmetry_Int_Tables_number 1
_symmetry_space_group_name_Hall 'P 1'
_cell_length_a 5.204
_cell_length_b 5.204
_cell_length_c 5.315
_cell_angle_alpha 90.00
_cell_angle_beta 90.00
_cell_angle_gamma 90.00
loop_
_atom_site_label
_atom_site_type_symbol
_atom_site_fract_x
_atom_site_fract_y
_atom_site_fract_z
_atom_site_occupancy
P1 P 0.000 0.000 0.500 1
N1 N 0.500 0.500 0.500 1
Pb1 Pb 0.000 0.000 0.000 1
S1 S 0.000 0.500 0.000 1
S2 S 0.500 0.000 0.000 1
```

----------

Entry from the Alexandria database: an optimized crystal structure of PuTh2Pt3 (GGA-PBE).

Cell: 9.174 9.174 9.174 Å, 153.43 153.43 37.93°
Element x y z (fractional)
Pu (0.000, 0.000, 0.000)
Th (0.334, 0.334, 0.000)
Th (0.666, 0.666, 0.000)
Pt (0.167, 0.167, 0.000)
Pt (0.500, 0.500, 0.000)
Pt (0.833, 0.833, 0.000)

Computed properties:
ΔE_f: -1094 meV/atom
calculated volume: 154.3 Å³/f.u.

=====

Entry from the Alexandria database: an optimized crystal structure of LaTiI2 (GGA-PBE).

Cell: 5.360 5.360 5.360 Å, 60.00 60.00 60.00°
Element x y z (fractional)
La (0.000, 0.000, 0.000)
Ti (0.500, 0.500, 0.500)
I (0.250, 0.250, 0.250)
I (0.750, 0.750, 0.750)

Computed properties:
calculated volume: 108.9 Å³/f.u.
uncorrected formation energy: -0.2513 eV per atom

=====

Number 1 is which compound?
PuTh2Pt3

=====

Look up the calculated volume of the second one.
108.9 Å³/f.u.

----------

VASP calculation (GGA-PBE) on an optimized crystal structure of BaCu10P4.

abc: 12.003 12.003 9.678
angles: 85.95 85.95 18.36
Positions (direct):
Cu  0.950  0.950  0.076
P  0.609  0.609  0.961
Cu  0.050  0.050  0.924
P  0.249  0.249  0.814
Cu  0.713  0.713  0.965
Cu  0.943  0.943  0.444
Cu  0.287  0.287  0.035
P  0.380  0.380  0.509
Ba  0.857  0.857  0.784
Cu  0.277  0.277  0.567
Cu  0.167  0.167  0.570
Cu  0.282  0.282  0.302
Ba  0.143  0.143  0.216
Cu  0.402  0.402  0.275
Cu  0.057  0.057  0.556
Cu  0.723  0.723  0.433
P  0.751  0.751  0.186
Cu  0.847  0.847  0.151
Cu  0.472  0.472  0.885
Cu  0.598  0.598  0.725
Cu  0.718  0.718  0.698
____________
if the ball is red then
throw the ball
if the toy is a truck then
put the toy in your pocket
end if
Here you want to either take the toy or throw the ball, one or the other, but the choice is dependent on what you’ve got. (I have a green ball, so I’m not throwing it, but I do have a toy truck I’ll put in my pocket. In no case can I throw the ball AND keep the truck. Or I might not be able to do either thing - no red ball, no toy truck. Note: If I did want to do both operations, then I would separate them into individual if/then blocks.)
Hope this isn’t too confusing. Just my (maybe peculiar) way of looking at it.
love the shell script addition. It does EXACTLY what I want with just a single line of code. Beautiful. Looks like it deletes ONLY the items on the disk, somehow extraordinarily quickly at that. Something that Adam pointed out was a way to dump the entire drive but keep any item that had extension .app there. Is there any way to make exception using the same shell script? Combining shell scripts with AppleScript – now I’m getting nervous.
I get the else if on one line now. Thanks.
updated code:
set path1 to ("SCANDISK")
set path2 to (path to desktop folder as text) & "transfer from external"
tell application "Finder"
if not (exists (folder path2)) then
tell application "Finder" to make new folder at desktop with properties {name:"transfer from external", comment:"files transfered from an external drive or card"}
--say "new folder on desktop created" using "Bells" --man, this takes too long. Have to wait for it to end?
end if
duplicate every item of disk path1 to folder path2 with replacing
end tell
--say "transfer complete"
tell application "SystemUIServer"
set button_pressed to button returned of (display dialog "Transfer Complete.
Files in folder \"transfer from external\" on you desktop" buttons {"Close", "Eject Drive", "Delete Files & Eject Drive"} default button 3 with icon note)
end tell
if the button_pressed is "Eject Drive" then
tell application "Finder" to eject path1
else if the button_pressed is "Delete Files & Eject Drive" then
do shell script "/bin/rm -rf /Volumes/" & path1 & "/*"
tell application "Finder"
eject path1
end tell
end if
I am having a bit of problem modifying the script below. The key is, once all of the files are transfered I I need to delete all of the files from a specific folder on my flash card while keeping the file structure intact. I have tried to use gyuen’s shell script below to accomplish this, but frankly, I have no idea what the shell script is doing, and now since I am pointing it to a specific folder it doesn’t seem to delete, only eject the disk.
Can anyone help me figure out nicely how to delete the files from the folder (erase them from the disk, not just put them in the trash) and then eject the disk? What am I doing wrong near the very bottom with that shell script? Thanks!
set trashTemp to (path to desktop as text) & "trashTemp:"
set diskName to ("LEXAR MEDIA")
set path1 to (diskName & ":DCIM:119NCD1X")
set path2 to "NEF_HD:NEF temp:"
tell application "SystemUIServer"
display dialog "Start transfer process?" buttons {"Cancel", "Start Transfer"} default button 2 with icon note
end tell
tell application "Bridge" to activate
tell application "System Events" to keystroke "h" using {command down, option down}
tell application "Finder"
with timeout of 3000 seconds
duplicate every item of folder path1 to folder path2 with replacing
end timeout
end tell
--say "transfer complete"
tell application "SystemUIServer"
set button_pressed to button returned of (display dialog "Transfer Complete." & return & "Files in folder \"" & path2 & "\"" buttons {"Close", "Eject Drive", "Delete Files & Eject Drive"} default button 3 with icon note)
end tell
if the button_pressed is "Eject Drive" then
tell application "Finder" to eject diskName
tell application "Bridge" to activate
tell application "SystemUIServer"
display dialog "You may now remove your card" buttons {"ok"} default button 1 giving up after 3
end tell
else if the button_pressed is "Delete Files & Eject Drive" then
do shell script "/bin/rm -rf /Volumes/" & path1 & "/*"
tell application "Finder"
eject diskName
end tell
tell application "SystemUIServer"
display dialog "You may now remove your card" buttons {"ok"} default button 1 giving up after 3
end tell
tell application "Bridge" to activate
end if
It looks like the problem is your trying to pass an AppleScript path to a shell script which expecting a POSIX path.
I would test this myself for you, but don’t have the time so try modifying your remove to something like this…
else if the button_pressed is "Delete Files & Eject Drive" then
set path3 to posix path of path1
do shell script "/bin/rm -rf /Volumes/" & path3 & "/*"
edit the other thing to consider is if you have spaces in the path name you may need to do it like this
else if the button_pressed is "Delete Files & Eject Drive" then
set path3 to POSIX path of path1
do shell script "/bin/rm -rf /Volumes/" & (quoted form of path3) & "/*"
Or you can escape the spaces, but that one I’ll leave to ya
Thanks for the quick response myndcraft, but neither of those changes work. I am not sure if it is a posix problem considering that previously I set the variable the exact same way for the disk name and used to erase and eject the entire name. So the variable type seemed to work before, but that is just a noobs thought process.
Well I’m stuck at work at the moment, but will try to look at it a little later. So unless someone gets back sooner look for a response tonight/tomorrow morning.
For reference though… after the script runs what is the value of path3 set to?
Actually it looks like the posix path is the issue at least in the quick tests I did… the problem though is the POSIX path implies the “/Volumes” so your script parmater is becoming “/Volumes/Volumes/blah blah”
Try this change
else if the button_pressed is "Delete Files & Eject Drive" then
set path3 to POSIX path of path1
do shell script "/bin/rm -rf " & (quoted form of path3) & "/*"
STUCK AT WORK?! Hey, get out of there man. Run for the hills, the ocean, anything that’s close by!
Hey, that works! Thank you so much. You are the best! I really appreciate the help. I would have been stuck at my computer all day without the help. Thanks!
Glad that worked for you! One of my servers blew up yesterday so I was there all night fighting the fires, headed back in there now as well.
Anyway the reason why it had stopped working was you introduced two things into your equation that was different than when you had it working. First is the introduction of spaces in the volume name and second was subfolders withhin your volume.
The addition of spaces is the reason we have to do quoted form of the path. Without doing that when the rm command encounters the space in the name it thinks its now looking at a second paramater and it breaks your path.
The introduction of subfolder within the volume caused you to end up with a half POSIX, half AS path "/Volumes/LEXAR MEDIA:DCIM:119NCD1X which also breaks the rm command and thus our need to convert the path to a complete POSIX path.
Anyway I’m rambling so Im going to go grab coffee and head into work.